Material >
-- begin --
{
  "formula": "KFeAg2F6",
  "functional": "PBE with a Hubbard U",
  "state": "optimized geometry",
  "cell": [[5.922, 0.000, 0.000], [0.000, 6.268, 0.000], [-5.678, 0.000, 8.452]],
  "species": ["K", "K", "Fe", "Fe", "Ag", "Ag", "Ag", "Ag", "F", "F", "F", "F", "F", "F", "F", "F", "F", "F", "F", "F"],
  "fractional_positions": [[0.000, 0.000, 0.000], [0.000, 0.500, 0.500], [0.500, 0.000, 0.500], [0.500, 0.500, 0.000], [0.221, 0.035, 0.735], [0.221, 0.465, 0.235], [0.779, 0.535, 0.765], [0.779, 0.965, 0.265], [0.211, 0.158, 0.480], [0.211, 0.342, 0.980], [0.229, 0.745, 0.885], [0.229, 0.755, 0.385], [0.421, 0.111, 0.303], [0.421, 0.389, 0.803], [0.579, 0.611, 0.197], [0.579, 0.889, 0.697], [0.771, 0.245, 0.615], [0.771, 0.255, 0.115], [0.789, 0.658, 0.020], [0.789, 0.842, 0.520]],
  "crystal_system": "monoclinic",
  "energy_ha_per_atom": -0.1545
}

----------

Record 1
KMgCCl2: optimized geometry, GGA-PBE.

abc: 4.935 4.935 5.348
angles: 90.00 90.00 90.00
Fractional coordinates of all 5 atoms:
K1 0.000 0.000 0.000
Mg1 0.500 0.500 0.000
C1 0.000 0.000 0.500
Cl1 0.000 0.500 0.500
Cl2 0.500 0.000 0.500

Computed properties:
Mass density in kg/m³: 1866
V in Å³/f.u.: 130
VASP energy in eV per cell: -12.076
Formation energy (no corrections) in meV/atom: 707


Record 2
Zn2In: optimized geometry, GGA-PBE.

abc: 7.353 7.353 4.949
angles: 90.00 90.00 154.31
Fractional coordinates of all 6 atoms:
Zn1 0.058 0.942 0.750
Zn2 0.283 0.717 0.250
Zn3 0.717 0.283 0.750
Zn4 0.942 0.058 0.250
In1 0.387 0.613 0.750
In2 0.613 0.387 0.250

Computed properties:
Mass density in kg/m³: 7035
V in Å³/f.u.: 58
VASP energy in eV per cell: -9.936
Formation enthalpy at 0 K in eV per atom: 0.11


The lowest VASP energy belongs to which entry?
KMgCCl2


Among the records above, which one has the highest VASP energy?
Zn2In


mass density of number 2 (Zn2In)?
7035 kg/m³

----------

Record 1
Density functional theory data (GGA-PBE) for an optimized crystal structure of Sm3ZrIn3Se8.

Unit cell a=9.0939 b=9.0939 c=9.0939 alpha=54.21 beta=54.21 gamma=54.21
Last column: nearest neighbours and their distance in Å.
Atoms (fractional coordinates):
Sm 0.0000 0.5000 0.5000  6 Se 2.92-2.94
Sm 0.5000 0.0000 0.5000  6 Se 2.92-2.94
Sm 0.5000 0.5000 0.0000  6 Se 2.92-2.94
Zr 0.0000 0.0000 0.0000  6 Se 2.76
In 0.0000 0.0000 0.5000  6 Se 3.24-3.25
In 0.0000 0.5000 0.0000  6 Se 3.24-3.25
In 0.5000 0.0000 0.0000  6 Se 3.24-3.25
Se 0.2253 0.2253 0.7563  1 Zr 2.76, 2 Sm 2.94
Se 0.2253 0.7563 0.2253  1 Zr 2.76, 2 Sm 2.94
Se 0.2437 0.7747 0.7747  1 Zr 2.76, 2 Sm 2.94
Se 0.2615 0.2615 0.2615  3 Sm 2.92, 3 In 3.25
Se 0.7385 0.7385 0.7385  3 Sm 2.92, 3 In 3.25
Se 0.7563 0.2253 0.2253  1 Zr 2.76, 2 Sm 2.94
Se 0.7747 0.2437 0.7747  1 Zr 2.76, 2 Sm 2.94
Se 0.7747 0.7747 0.2437  1 Zr 2.76, 2 Sm 2.94

Summary:
Uncorrected formation energy in meV/atom: -1306
DOS(E_F) in states/eV/atom: 0.013
Crystal system: trigonal
Total magnetic moment in μB per formula unit: 0.00

Record 2
Density functional theory data (GGA-PBE) for an optimized crystal structure of Li2Zn2Pd3.

Unit cell a=6.1689 b=6.1689 c=6.5654 alpha=111.22 beta=111.22 gamma=26.29
Last column: nearest neighbours and their distance in Å.
Atoms (fractional coordinates):
Li 0.1364 0.1364 0.4215  4 Pd 2.60-2.66, 4 Zn 2.79-2.80, 4 Li 2.81-2.90
Li 0.8636 0.8636 0.5785  4 Pd 2.60-2.66, 4 Zn 2.79-2.80, 4 Li 2.81-2.90
Zn 0.4188 0.4188 0.2612  5 Pd 2.62-2.70, 4 Li 2.79-2.80, 2 Zn 2.81
Zn 0.5812 0.5812 0.7388  5 Pd 2.62-2.70, 4 Li 2.79-2.80, 2 Zn 2.81
Pd 0.0000 0.0000 0.0000  2 Li 2.64, 4 Zn 2.67, 6 Pd 2.81-2.85
Pd 0.2780 0.2780 0.8317  3 Li 2.60-2.66, 3 Zn 2.62-2.70, 6 Pd 2.81-2.90
Pd 0.7220 0.7220 0.1683  3 Li 2.60-2.66, 3 Zn 2.62-2.70, 6 Pd 2.81-2.90

Summary:
Energy relative to the lowest polymorph listed for this composition in meV/atom: 33
DOS(E_F) in states/eV/atom: 0.379
Crystal system: monoclinic
ΔE_f in eV/atom: -0.3918
Total magnetic moment in μB per formula unit: 0.00

Record 3
-- stop --

What to do >
Give back only the lines further above with the word "Formation" in them.

Result >
Formation energy (no corrections) in meV/atom: 707
Formation enthalpy at 0 K in eV per atom: 0.11